Ruby 2.1.0 リファレンスマニュアル > ライブラリ一覧 > 組み込みライブラリ > Timeクラス > strftime

instance method Time#strftime

strftime(format) -> String[permalink][rdoc]

時刻を format 文字列に従って文字列に変換した結果を返します。

[The piece is interrupted by calculated crystals]
For NaTe3Cl, a structure optimized by DFT (PBE) gives the computed XRD peak list in this record (Cu Kα (λ = 1.5418 Å)).
Peak positions follow from Bragg's law for the DFT cell and can differ from measured ones.

Crystal structure
```
NaTe3Cl
1.0
5.495 0.000 0.000
0.000 5.495 0.000
0.000 0.000 5.495
Na Te Cl
1 3 1
Direct
0.000 0.000 0.000
0.000 0.500 0.500
0.500 0.000 0.500
0.500 0.500 0.000
0.500 0.500 0.500
```

Most intense lines, 15° ≤ 2θ ≤ 90°, low angle first:
2θ/deg	I_rel	hkl
16.13	423	1 0 0
28.12	1000	1 1 1
32.59	737	2 0 0
36.56	209	2 1 0
46.75	526	2 2 0
55.45	450	3 1 1
58.15	180	2 2 2
75.39	178	3 3 1
77.71	226	4 2 0
86.82	173	4 2 2

[PARAM] format:
フォーマット文字列を指定します。使用できるものは 以下の通りです。

このメソッドは strftime(3) や glibcの仕様を参考に作成されており、以下のオプションが利用できます。


p t =,2,3,4,5,6,"+09:00")  # => 2001-02-03 04:05:06 +0900
p t.strftime("Printed on %m/%d/%Y")      # => "Printed on 02/03/2001"
p t.strftime("Printed on %m/%-d/%_6Y")   # => "Printed on 02/3/  2001"
p t.strftime("at %I:%M%p")               # => "at 04:05AM"
p t.strftime("at %I:%M%#p")              # => "at 04:05am"
様々なISO 8601形式

t =,2,3,4,5,6,"+09:00")
p t.strftime("%Y%m%d")           # => 20010203                  Calendar date (basic)
p t.strftime("%F")               # => 2001-02-03                Calendar date (extended)
p t.strftime("%Y-%m")            # => 2001-02                   Calendar date, reduced accuracy, specific month
p t.strftime("%Y")               # => 2001                      Calendar date, reduced accuracy, specific year
p t.strftime("%C")               # => 20                        Calendar date, reduced accuracy, specific century
p t.strftime("%Y%j")             # => 2001034                   Ordinal date (basic)
p t.strftime("%Y-%j")            # => 2001-034                  Ordinal date (extended)
p t.strftime("%GW%V%u")          # => 2001W056                  Week date (basic)
p t.strftime("%G-W%V-%u")        # => 2001-W05-6                Week date (extended)
p t.strftime("%GW%V")            # => 2001W05                   Week date, reduced accuracy, specific week (basic)
p t.strftime("%G-W%V")           # => 2001-W05                  Week date, reduced accuracy, specific week (extended)
p t.strftime("%H%M%S")           # => 040506                    Local time (basic)
p t.strftime("%T")               # => 04:05:06                  Local time (extended)
p t.strftime("%H%M")             # => 0405                      Local time, reduced accuracy, specific minute (basic)
p t.strftime("%H:%M")            # => 04:05                     Local time, reduced accuracy, specific minute (extended)
p t.strftime("%H")               # => 04                        Local time, reduced accuracy, specific hour
p t.strftime("%H%M%S,%L")        # => 040506,000                Local time with decimal fraction, comma as decimal sign (basic)
p t.strftime("%T,%L")            # => 04:05:06,000              Local time with decimal fraction, comma as decimal sign (extended)
p t.strftime("%H%M%S.%L")        # => 040506.000                Local time with decimal fraction, full stop as decimal sign (basic)
p t.strftime("%T.%L")            # => 04:05:06.000              Local time with decimal fraction, full stop as decimal sign (extended)
p t.strftime("%H%M%S%z")         # => 040506+0900               Local time and the difference from UTC (basic)
p t.strftime("%T%:z")            # => 04:05:06+09:00            Local time and the difference from UTC (extended)
p t.strftime("%Y%m%dT%H%M%S%z")  # => 20010203T040506+0900      Date and time of day for calendar date (basic)
p t.strftime("%FT%T%:z")         # => 2001-02-03T04:05:06+09:00 Date and time of day for calendar date (extended)
p t.strftime("%Y%jT%H%M%S%z")    # => 2001034T040506+0900       Date and time of day for ordinal date (basic)
p t.strftime("%Y-%jT%T%:z")      # => 2001-034T04:05:06+09:00   Date and time of day for ordinal date (extended)
p t.strftime("%GW%V%uT%H%M%S%z") # => 2001W056T040506+0900      Date and time of day for week date (basic)
p t.strftime("%G-W%V-%uT%T%:z")  # => 2001-W05-6T04:05:06+09:00 Date and time of day for week date (extended)
p t.strftime("%Y%m%dT%H%M")      # => 20010203T0405             Calendar date and local time (basic)
p t.strftime("%FT%R")            # => 2001-02-03T04:05          Calendar date and local time (extended)
p t.strftime("%Y%jT%H%MZ")       # => 2001034T0405Z             Ordinal date and UTC of day (basic)
p t.strftime("%Y-%jT%RZ")        # => 2001-034T04:05Z           Ordinal date and UTC of day (extended)
p t.strftime("%GW%V%uT%H%M%z")   # => 2001W056T0405+0900        Week date and local time and difference from UTC (basic)
p t.strftime("%G-W%V-%uT%R%:z")  # => 2001-W05-6T04:05+09:00    Week date and local time and difference from UTC (extended)